┌──
Computed powder diffraction line list
Compound: K2V2F7
Radiation: λ = 1.5418 Å (Cu Kα)
Structure: the PBE+U geometry in Alexandria
No peak broadening, texture or thermal motion is included.

Crystal structure
Cell lengths 6.8567, 11.9807, 5.6058 Å; angles 90.00, 103.54, 90.00 degrees
Space group C2/m (No. 12)
Symmetry-distinct sites (fractional):
K 0.0000 0.1919 0.0000 x4
V 0.2425 0.0000 0.6173 x4
F 0.0000 0.5000 0.5000 x2
F 0.0443 0.0000 0.2886 x4
F 0.2202 0.3511 0.2382 x8

Top 10 peaks for 5 to 70 degrees two-theta, in order of rising 2θ:
- hkl 0 2 0, 14.8 deg, I 27.1
- hkl 1 1 0, 15.2 deg, I 16.9
- hkl 1 1 -1, 19.9 deg, I 21.2
- hkl 0 2 1, 22.0 deg, I 100.0
- hkl 1 1 1, 24.5 deg, I 53.1
- hkl 2 0 -1, 27.9 deg, I 26.5
- hkl 3 1 -1, 40.8 deg, I 22.8
- hkl 1 3 2, 44.9 deg, I 29.8
- hkl 0 6 0, 45.4 deg, I 16.0
- hkl 1 3 -3, 54.2 deg, I 12.6


Entry 1:
Computed powder XRD pattern
Compound: Pr7Sm16Tm6
Radiation: CuKα
Structure: a structure optimized by DFT (PBE)
No peak broadening, texture or thermal motion is included.

Main lines, in order of rising 2θ (2θ from 5° to 70°):
2θ 24.84, I 60
2θ 27.25, I 64
2θ 28.94, I 81
2θ 31.57, I 1000
2θ 33.06, I 56
2θ 33.54, I 44
2θ 35.42, I 54
2θ 45.25, I 145
2θ 56.22, I 279
2θ 65.93, I 79

Atomic structure:
Lattice parameters (Å, degrees): 16.0302 16.0302 16.0302 90.00 90.00 90.00
Space group Fm-3m (No. 225)
Symmetry-distinct sites (fractional):
Pr1 0.0000 0.0000 0.0000
Pr2 0.0000 0.2500 0.2500
Sm1 0.1260 0.1260 0.1260
Sm2 0.1506 0.1506 0.3494
Tm1 0.0000 0.0000 0.2618

***

Entry 2:
Computed powder XRD pattern
Compound: Ba2Sc2O5
Radiation: CuKα
Structure: a structure optimized by DFT (PBE)
No peak broadening, texture or thermal motion is included.

Main lines, in order of rising 2θ (2θ from 5° to 70°):
2θ 20.76, I 312
2θ 29.13, I 330
2θ 29.91, I 358
2θ 30.08, I 1000
2θ 36.51, I 185
2θ 37.15, I 170
2θ 38.90, I 168
2θ 42.24, I 346
2θ 52.24, I 192
2θ 53.21, I 208

Atomic structure:
Lattice parameters (Å, degrees): 5.9740 16.5169 6.1307 90.00 90.00 90.00
Space group Pnma (No. 62)
Symmetry-distinct sites (fractional):
Ba1 0.0023 0.1095 0.0154
Sc1 0.0000 0.0000 0.5000
Sc2 0.0326 0.2500 0.5692
O1 0.0093 0.6379 0.5482
O2 0.1460 0.7500 0.1556
O3 0.2475 0.0074 0.7529

***

Entry 3:
Computed powder XRD pattern
Compound: Cd4Bi5Sb
Radiation: CuKα
Structure: a structure optimized by DFT (PBE)
No peak broadening, texture or thermal motion is included.

Main lines, in order of rising 2θ (2θ from 5° to 70°):
2θ 14.96, I 143
2θ 22.07, I 155
2θ 23.35, I 134
2θ 25.90, I 202
2θ 35.28, I 1000
2θ 36.11, I 234
2θ 37.80, I 208
2θ 53.27, I 154
2θ 64.39, I 174
2θ 66.63, I 157

Atomic structure:
Lattice parameters (Å, degrees): 9.5200 9.9506 7.5614 90.00 90.00 90.00
Space group Pmmn (No. 59, origin choice 2)
Symmetry-distinct sites (fractional):
Cd1 0.0053 0.2500 0.0028
Cd2 0.2500 0.0102 0.5099
Bi1 0.0013 0.0011 0.7548
Bi2 0.2500 0.7500 0.2529
Sb1 0.2500 0.2500 0.2535

***

Entry 4:
Computed powder XRD pattern
Compound: CsCeB2H8
Radiation: CuKα
Structure: a structure optimized by DFT (PBE)
No peak broadening, texture or thermal motion is included.

Main lines, in order of rising 2θ (2θ from 5° to 70°):
2θ 20.35, I 530
2θ 25.22, I 930
2θ 27.89, I 1000
2θ 36.81, I 459
2θ 42.42, I 267
2θ 42.71, I 304
2θ 47.75, I 361
2θ 50.25, I 156
2θ 51.79, I 173
2θ 60.98, I 198

Atomic structure:
Lattice parameters (Å, degrees): 4.2337 4.2337 26.1821 90.00 90.00 120.00
Space group R-3m (No. 166, hexagonal axes)
Symmetry-distinct sites (fractional):
└──

Duplicate everything further above without altering anything, please.

Computed powder diffraction line list
Compound: K2V2F7
Radiation: λ = 1.5418 Å (Cu Kα)
Structure: the PBE+U geometry in Alexandria
No peak broadening, texture or thermal motion is included.

Crystal structure
Cell lengths 6.8567, 11.9807, 5.6058 Å; angles 90.00, 103.54, 90.00 degrees
Space group C2/m (No. 12)
Symmetry-distinct sites (fractional):
K 0.0000 0.1919 0.0000 x4
V 0.2425 0.0000 0.6173 x4
F 0.0000 0.5000 0.5000 x2
F 0.0443 0.0000 0.2886 x4
F 0.2202 0.3511 0.2382 x8

Top 10 peaks for 5 to 70 degrees two-theta, in order of rising 2θ:
- hkl 0 2 0, 14.8 deg, I 27.1
- hkl 1 1 0, 15.2 deg, I 16.9
- hkl 1 1 -1, 19.9 deg, I 21.2
- hkl 0 2 1, 22.0 deg, I 100.0
- hkl 1 1 1, 24.5 deg, I 53.1
- hkl 2 0 -1, 27.9 deg, I 26.5
- hkl 3 1 -1, 40.8 deg, I 22.8
- hkl 1 3 2, 44.9 deg, I 29.8
- hkl 0 6 0, 45.4 deg, I 16.0
- hkl 1 3 -3, 54.2 deg, I 12.6


Entry 1:
Computed powder XRD pattern
Compound: Pr7Sm16Tm6
Radiation: CuKα
Structure: a structure optimized by DFT (PBE)
No peak broadening, texture or thermal motion is included.

Main lines, in order of rising 2θ (2θ from 5° to 70°):
2θ 24.84, I 60
2θ 27.25, I 64
2θ 28.94, I 81
2θ 31.57, I 1000
2θ 33.06, I 56
2θ 33.54, I 44
2θ 35.42, I 54
2θ 45.25, I 145
2θ 56.22, I 279
2θ 65.93, I 79

Atomic structure:
Lattice parameters (Å, degrees): 16.0302 16.0302 16.0302 90.00 90.00 90.00
Space group Fm-3m (No. 225)
Symmetry-distinct sites (fractional):
Pr1 0.0000 0.0000 0.0000
Pr2 0.0000 0.2500 0.2500
Sm1 0.1260 0.1260 0.1260
Sm2 0.1506 0.1506 0.3494
Tm1 0.0000 0.0000 0.2618

***

Entry 2:
Computed powder XRD pattern
Compound: Ba2Sc2O5
Radiation: CuKα
Structure: a structure optimized by DFT (PBE)
No peak broadening, texture or thermal motion is included.

Main lines, in order of rising 2θ (2θ from 5° to 70°):
2θ 20.76, I 312
2θ 29.13, I 330
2θ 29.91, I 358
2θ 30.08, I 1000
2θ 36.51, I 185
2θ 37.15, I 170
2θ 38.90, I 168
2θ 42.24, I 346
2θ 52.24, I 192
2θ 53.21, I 208

Atomic structure:
Lattice parameters (Å, degrees): 5.9740 16.5169 6.1307 90.00 90.00 90.00
Space group Pnma (No. 62)
Symmetry-distinct sites (fractional):
Ba1 0.0023 0.1095 0.0154
Sc1 0.0000 0.0000 0.5000
Sc2 0.0326 0.2500 0.5692
O1 0.0093 0.6379 0.5482
O2 0.1460 0.7500 0.1556
O3 0.2475 0.0074 0.7529

***

Entry 3:
Computed powder XRD pattern
Compound: Cd4Bi5Sb
Radiation: CuKα
Structure: a structure optimized by DFT (PBE)
No peak broadening, texture or thermal motion is included.

Main lines, in order of rising 2θ (2θ from 5° to 70°):
2θ 14.96, I 143
2θ 22.07, I 155
2θ 23.35, I 134
2θ 25.90, I 202
2θ 35.28, I 1000
2θ 36.11, I 234
2θ 37.80, I 208
2θ 53.27, I 154
2θ 64.39, I 174
2θ 66.63, I 157

Atomic structure:
Lattice parameters (Å, degrees): 9.5200 9.9506 7.5614 90.00 90.00 90.00
Space group Pmmn (No. 59, origin choice 2)
Symmetry-distinct sites (fractional):
Cd1 0.0053 0.2500 0.0028
Cd2 0.2500 0.0102 0.5099
Bi1 0.0013 0.0011 0.7548
Bi2 0.2500 0.7500 0.2529
Sb1 0.2500 0.2500 0.2535

***

Entry 4:
Computed powder XRD pattern
Compound: CsCeB2H8
Radiation: CuKα
Structure: a structure optimized by DFT (PBE)
No peak broadening, texture or thermal motion is included.

Main lines, in order of rising 2θ (2θ from 5° to 70°):
2θ 20.35, I 530
2θ 25.22, I 930
2θ 27.89, I 1000
2θ 36.81, I 459
2θ 42.42, I 267
2θ 42.71, I 304
2θ 47.75, I 361
2θ 50.25, I 156
2θ 51.79, I 173
2θ 60.98, I 198

Atomic structure:
Lattice parameters (Å, degrees): 4.2337 4.2337 26.1821 90.00 90.00 120.00
Space group R-3m (No. 166, hexagonal axes)
Symmetry-distinct sites (fractional):